(To do)
Now type out all of the calculation results below exactly.
(File)
=====
A plane-wave DFT calculation with PBE with a Hubbard U was carried out for crystalline CaMn2TlO at its relaxed geometry.

The space group is P4/mmm (No. 123) and the conventional cell measures 6.152, 6.152 and 4.131 Å, with angles of 90.00, 90.00 and 90.00 degrees. The inequivalent atoms are Ca at (0.000, 0.000, 0.000), Mn at (0.000, 0.500, 0.000), Tl at (0.500, 0.500, 0.500) and O at (0.000, 0.000, 0.500).

The calculation puts the density at 3.93 g/cm3. The calculation puts the electronic total energy at -4.5688 eV per atom. The calculation puts the volume at 156.33 Å³/cell. The value obtained for the total magnetization is 1.95 μB/atom.

----------

Record 1
The following is a PBE calculation of an optimized crystal structure of CoTc2IrRu, from the Alexandria database. Values from VASP.

calculated formation energy: 1.9132 eV per atom
uncorrected energy: -7.282 eV per atom
total magnetic moment: 0.988 μB/atom

Quantum ESPRESSO input file:
```
&SYSTEM
  ibrav = 0, nat = 5, ntyp = 4
/
ATOMIC_SPECIES
Co 58.93 Co.upf
Tc 98.00 Tc.upf
Ir 192.22 Ir.upf
Ru 101.07 Ru.upf
CELL_PARAMETERS angstrom
4.640 0.000 0.000
0.000 4.640 0.000
0.000 0.000 4.460
ATOMIC_POSITIONS crystal
Co 0.000 0.000 0.000
Tc 0.000 0.500 0.500
Tc 0.500 0.000 0.500
Ir 0.000 0.000 0.500
Ru 0.500 0.500 0.000
```

Record 2
The following is a PBE calculation of an optimized crystal structure of TlCoIrRu2, from the Alexandria database. Values from VASP.

calculated formation energy: 2.8291 eV per atom
uncorrected energy: -4.548 eV per atom
total magnetic moment: 0.853 μB/atom

Quantum ESPRESSO input file:
```
&SYSTEM
  ibrav = 0, nat = 5, ntyp = 4
/
ATOMIC_SPECIES
Tl 204.38 Tl.upf
Co 58.93 Co.upf
Ir 192.22 Ir.upf
Ru 101.07 Ru.upf
CELL_PARAMETERS angstrom
4.946 0.000 0.000
0.000 4.946 0.000
0.000 0.000 4.931
ATOMIC_POSITIONS crystal
Tl 0.000 0.000 0.000
Co 0.500 0.500 0.500
Ir 0.000 0.000 0.500
Ru 0.000 0.500 0.000
Ru 0.500 0.000 0.000
```

Record 3
The following is a PBE calculation of an optimized crystal structure of VCoIrRu, from the Alexandria database. Values from VASP.

calculated formation energy: -0.2756 eV per atom
uncorrected energy: -8.866 eV per atom
total magnetic moment: 0.000 μB/atom

Quantum ESPRESSO input file:
```
&SYSTEM
  ibrav = 0, nat = 4, ntyp = 4
/
ATOMIC_SPECIES
V 50.94 V.upf
Co 58.93 Co.upf
Ir 192.22 Ir.upf
Ru 101.07 Ru.upf
CELL_PARAMETERS angstrom
3.638 0.000 0.000
0.000 3.757 0.000
0.000 0.000 3.798
ATOMIC_POSITIONS crystal
V 0.000 0.000 0.000
Co 0.000 0.500 0.500
Ir 0.500 0.000 0.500
Ru 0.500 0.500 0.000
```

Record 4
The following is a PBE calculation of an optimized crystal structure of YCoIrRu2, from the Alexandria database. Values from VASP.

calculated formation energy: 2.2563 eV per atom
uncorrected energy: -5.940 eV per atom
total magnetic moment: 0.874 μB/atom

Quantum ESPRESSO input file:
```
&SYSTEM
  ibrav = 0, nat = 5, ntyp = 4
/
ATOMIC_SPECIES
Y 88.91 Y.upf
Co 58.93 Co.upf
Ir 192.22 Ir.upf
Ru 101.07 Ru.upf
CELL_PARAMETERS angstrom
4.731 0.000 0.000
0.000 4.731 0.000
0.000 0.000 4.469
ATOMIC_POSITIONS crystal
Y 0.000 0.000 0.000
Co 0.000 0.000 0.500
Ir 0.500 0.500 0.500
Ru 0.000 0.500 0.000
Ru 0.500 0.000 0.000
```

Record 5
The following is a PBE calculation of an optimized crystal structure of CoIrS, from the Alexandria database. Values from VASP.

ΔE_f (raw): 68 meV/atom
energy relative to the lowest polymorph listed for this composition: 127 meV/atom
uncorrected energy: -6.630 eV per atom
total magnetic moment: 0.046 μB/atom

Quantum ESPRESSO input file:
```
&SYSTEM
  ibrav = 0, nat = 6, ntyp = 3
/
ATOMIC_SPECIES
Co 58.93 Co.upf
Ir 192.22 Ir.upf
S 32.06 S.upf
CELL_PARAMETERS angstrom
3.411 0.000 0.000
0.000 2.793 0.000
-0.987 0.000 8.542
ATOMIC_POSITIONS crystal
Co 0.000 0.000 0.000
Co 0.362 0.500 0.630
Ir 0.094 0.000 0.351
Ir 0.546 0.500 0.177
S 0.457 0.500 0.898
S 0.836 0.000 0.583
```

Record 6
The following is a PBE calculation of an optimized crystal structure of CoIr2S, from the Alexandria database. Values from VASP.
=====
(Completed)
A plane-wave DFT calculation with PBE with a Hubbard U was carried out for crystalline CaMn2TlO at its relaxed geometry.

The space group is P4/mmm (No. 123) and the conventional cell measures 6.152, 6.152 and 4.131 Å, with angles of 90.00, 90.00 and 90.00 degrees. The inequivalent atoms are Ca at (0.000, 0.000, 0.000), Mn at (0.000, 0.500, 0.000), Tl at (0.500, 0.500, 0.500) and O at (0.000, 0.000, 0.500).

The calculation puts the density at 3.93 g/cm3. The calculation puts the electronic total energy at -4.5688 eV per atom. The calculation puts the volume at 156.33 Å³/cell. The value obtained for the total magnetization is 1.95 μB/atom.

----------

Record 1
The following is a PBE calculation of an optimized crystal structure of CoTc2IrRu, from the Alexandria database. Values from VASP.

calculated formation energy: 1.9132 eV per atom
uncorrected energy: -7.282 eV per atom
total magnetic moment: 0.988 μB/atom

Quantum ESPRESSO input file:
```
&SYSTEM
  ibrav = 0, nat = 5, ntyp = 4
/
ATOMIC_SPECIES
Co 58.93 Co.upf
Tc 98.00 Tc.upf
Ir 192.22 Ir.upf
Ru 101.07 Ru.upf
CELL_PARAMETERS angstrom
4.640 0.000 0.000
0.000 4.640 0.000
0.000 0.000 4.460
ATOMIC_POSITIONS crystal
Co 0.000 0.000 0.000
Tc 0.000 0.500 0.500
Tc 0.500 0.000 0.500
Ir 0.000 0.000 0.500
Ru 0.500 0.500 0.000
```

Record 2
The following is a PBE calculation of an optimized crystal structure of TlCoIrRu2, from the Alexandria database. Values from VASP.

calculated formation energy: 2.8291 eV per atom
uncorrected energy: -4.548 eV per atom
total magnetic moment: 0.853 μB/atom

Quantum ESPRESSO input file:
```
&SYSTEM
  ibrav = 0, nat = 5, ntyp = 4
/
ATOMIC_SPECIES
Tl 204.38 Tl.upf
Co 58.93 Co.upf
Ir 192.22 Ir.upf
Ru 101.07 Ru.upf
CELL_PARAMETERS angstrom
4.946 0.000 0.000
0.000 4.946 0.000
0.000 0.000 4.931
ATOMIC_POSITIONS crystal
Tl 0.000 0.000 0.000
Co 0.500 0.500 0.500
Ir 0.000 0.000 0.500
Ru 0.000 0.500 0.000
Ru 0.500 0.000 0.000
```

Record 3
The following is a PBE calculation of an optimized crystal structure of VCoIrRu, from the Alexandria database. Values from VASP.

calculated formation energy: -0.2756 eV per atom
uncorrected energy: -8.866 eV per atom
total magnetic moment: 0.000 μB/atom

Quantum ESPRESSO input file:
```
&SYSTEM
  ibrav = 0, nat = 4, ntyp = 4
/
ATOMIC_SPECIES
V 50.94 V.upf
Co 58.93 Co.upf
Ir 192.22 Ir.upf
Ru 101.07 Ru.upf
CELL_PARAMETERS angstrom
3.638 0.000 0.000
0.000 3.757 0.000
0.000 0.000 3.798
ATOMIC_POSITIONS crystal
V 0.000 0.000 0.000
Co 0.000 0.500 0.500
Ir 0.500 0.000 0.500
Ru 0.500 0.500 0.000
```

Record 4
The following is a PBE calculation of an optimized crystal structure of YCoIrRu2, from the Alexandria database. Values from VASP.

calculated formation energy: 2.2563 eV per atom
uncorrected energy: -5.940 eV per atom
total magnetic moment: 0.874 μB/atom

Quantum ESPRESSO input file:
```
&SYSTEM
  ibrav = 0, nat = 5, ntyp = 4
/
ATOMIC_SPECIES
Y 88.91 Y.upf
Co 58.93 Co.upf
Ir 192.22 Ir.upf
Ru 101.07 Ru.upf
CELL_PARAMETERS angstrom
4.731 0.000 0.000
0.000 4.731 0.000
0.000 0.000 4.469
ATOMIC_POSITIONS crystal
Y 0.000 0.000 0.000
Co 0.000 0.000 0.500
Ir 0.500 0.500 0.500
Ru 0.000 0.500 0.000
Ru 0.500 0.000 0.000
```

Record 5
The following is a PBE calculation of an optimized crystal structure of CoIrS, from the Alexandria database. Values from VASP.

ΔE_f (raw): 68 meV/atom
energy relative to the lowest polymorph listed for this composition: 127 meV/atom
uncorrected energy: -6.630 eV per atom
total magnetic moment: 0.046 μB/atom

Quantum ESPRESSO input file:
```
&SYSTEM
  ibrav = 0, nat = 6, ntyp = 3
/
ATOMIC_SPECIES
Co 58.93 Co.upf
Ir 192.22 Ir.upf
S 32.06 S.upf
CELL_PARAMETERS angstrom
3.411 0.000 0.000
0.000 2.793 0.000
-0.987 0.000 8.542
ATOMIC_POSITIONS crystal
Co 0.000 0.000 0.000
Co 0.362 0.500 0.630
Ir 0.094 0.000 0.351
Ir 0.546 0.500 0.177
S 0.457 0.500 0.898
S 0.836 0.000 0.583
```

Record 6
The following is a PBE calculation of an optimized crystal structure of CoIr2S, from the Alexandria database. Values from VASP.